+++
(1)
Cs2Sn2O3: simulated powder diffraction line list (λ = 1.5418 Å (Cu Kα)), based on a crystal structure in Alexandria, relaxed with GGA-PBE.
Intensities are scaled so that the largest is 100.

Atomic structure:
```
Cs2Sn2O3
1.0
14.168 0.000 0.000
0.000 6.220 0.000
0.000 0.000 9.199
Cs Sn O
8 8 12
direct
0.097 0.250 0.154
0.134 0.750 0.454
0.366 0.250 0.954
0.403 0.750 0.654
0.597 0.250 0.346
0.634 0.750 0.046
0.866 0.250 0.546
0.903 0.750 0.846
0.138 0.250 0.701
0.197 0.750 0.899
0.303 0.250 0.399
0.362 0.750 0.201
0.638 0.250 0.799
0.697 0.750 0.601
0.803 0.250 0.101
0.862 0.750 0.299
0.164 0.250 0.479
0.230 0.503 0.752
0.230 0.997 0.752
0.270 0.003 0.252
0.270 0.497 0.252
0.336 0.750 0.979
0.664 0.250 0.021
0.730 0.503 0.748
0.730 0.997 0.748
0.770 0.003 0.248
0.770 0.497 0.248
0.836 0.750 0.521
```

Main lines, by angle (2θ = 5–70°):
12.50°, rel. 40; 24.88°, rel. 99; 25.14°, rel. 39; 25.59°, rel. 56; 27.01°, rel. 50; 27.20°, rel. 100; 28.70°, rel. 78; 30.70°, rel. 73

=====

(2)
CsSnO3: simulated powder diffraction line list (λ = 1.5418 Å (Cu Kα)), based on a crystal structure in Alexandria, relaxed with GGA-PBE.
Intensities are scaled so that the largest is 100.

Atomic structure:
```
CsSnO3
1.0
3.228 0.000 0.000
0.000 4.210 0.000
0.000 0.000 6.526
Cs Sn O
1 1 3
direct
0.000 0.000 0.000
0.000 0.500 0.500
0.000 0.000 0.500
0.500 0.500 0.289
0.500 0.500 0.711
```

Main lines, by angle (2θ = 5–70°):
25.17°, rel. 100; 27.33°, rel. 39; 27.64°, rel. 37; 37.73°, rel. 61; 39.26°, rel. 46; 42.97°, rel. 18; 55.41°, rel. 26; 59.60°, rel. 26

=====

(3)
CsSn2TeO8: simulated powder diffraction line list (λ = 1.5418 Å (Cu Kα)), based on a crystal structure in Alexandria, relaxed with GGA-PBE.
Intensities are scaled so that the largest is 100.

Atomic structure:
```
CsSn2TeO8
1.0
4.348 -3.047 0.000
4.348 3.047 0.000
-3.054 0.000 7.085
Cs Sn Te O
1 2 1 8
direct
0.000 0.000 0.000
0.448 0.448 0.750
0.552 0.552 0.250
0.000 0.000 0.500
0.173 0.714 0.303
0.229 0.229 0.522
0.286 0.827 0.697
0.361 0.361 0.964
0.639 0.639 0.036
0.714 0.173 0.303
0.771 0.771 0.478
0.827 0.286 0.697
```

Main lines, by angle (2θ = 5–70°):
22.26°, rel. 83; 27.39°, rel. 100; 29.31°, rel. 49; 34.78°, rel. 54; 36.36°, rel. 34; 37.12°, rel. 27; 50.82°, rel. 20; 55.58°, rel. 16

=====

(4)
Cs2TiSnO4: simulated powder diffraction line list (λ = 1.5418 Å (Cu Kα)), based on a crystal structure in Alexandria, relaxed with GGA-PBE.
Intensities are scaled so that the largest is 100.

Atomic structure:
```
Cs2TiSnO4
1.0
6.232 0.000 0.000
0.000 8.148 0.000
0.000 0.000 7.026
Cs Ti Sn O
4 2 2 8
direct
0.250 0.012 0.210
0.250 0.488 0.210
0.750 0.512 0.790
0.750 0.988 0.790
0.250 0.750 0.629
0.750 0.250 0.371
0.250 0.250 0.717
0.750 0.750 0.283
0.000 0.250 0.522
0.000 0.750 0.478
0.250 0.564 0.769
0.250 0.936 0.769
0.500 0.250 0.522
0.500 0.750 0.478
0.750 0.064 0.231
0.750 0.436 0.231
```

Main lines, by angle (2θ = 5–70°):
25.33°, rel. 36; 28.65°, rel. 29; 29.12°, rel. 100; 38.62°, rel. 25; 44.48°, rel. 9; 51.04°, rel. 21; 53.90°, rel. 11; 60.34°, rel. 10

=====

(5)
Cs3SrO8: simulated powder diffraction line list (λ = 1.5418 Å (Cu Kα)), based on a crystal structure in Alexandria, relaxed with GGA-PBE.
Intensities are scaled so that the largest is 100.

Atomic structure:
```
Cs3SrO8
1.0
-3.950 3.950 4.610
3.950 -3.950 4.610
3.950 3.950 -4.610
Cs Sr O
3 1 8
direct
0.000 0.000 0.000
0.250 0.750 0.500
0.750 0.250 0.500
0.500 0.500 0.000
0.150 0.150 0.684
0.214 0.214 0.554
0.340 0.786 0.000
0.466 0.466 0.316
0.534 0.850 0.000
0.660 0.660 0.446
0.786 0.340 0.000
0.850 0.534 0.000
```

Main lines, by angle (2θ = 5–70°):
22.51°, rel. 42; 25.05°, rel. 100; 32.05°, rel. 36; 41.10°, rel. 60; 45.57°, rel. 20; 51.40°, rel. 14; 63.33°, rel. 15; 66.71°, rel. 13

=====

(6)
Cs2Sr2TcO6: simulated powder diffraction line list (λ = 1.5418 Å (Cu Kα)), based on a crystal structure in Alexandria, relaxed with GGA-PBE.
Intensities are scaled so that the largest is 100.

Atomic structure:
```
+++

Next, repeat all of the notes further up without altering anything.

(1)
Cs2Sn2O3: simulated powder diffraction line list (λ = 1.5418 Å (Cu Kα)), based on a crystal structure in Alexandria, relaxed with GGA-PBE.
Intensities are scaled so that the largest is 100.

Atomic structure:
```
Cs2Sn2O3
1.0
14.168 0.000 0.000
0.000 6.220 0.000
0.000 0.000 9.199
Cs Sn O
8 8 12
direct
0.097 0.250 0.154
0.134 0.750 0.454
0.366 0.250 0.954
0.403 0.750 0.654
0.597 0.250 0.346
0.634 0.750 0.046
0.866 0.250 0.546
0.903 0.750 0.846
0.138 0.250 0.701
0.197 0.750 0.899
0.303 0.250 0.399
0.362 0.750 0.201
0.638 0.250 0.799
0.697 0.750 0.601
0.803 0.250 0.101
0.862 0.750 0.299
0.164 0.250 0.479
0.230 0.503 0.752
0.230 0.997 0.752
0.270 0.003 0.252
0.270 0.497 0.252
0.336 0.750 0.979
0.664 0.250 0.021
0.730 0.503 0.748
0.730 0.997 0.748
0.770 0.003 0.248
0.770 0.497 0.248
0.836 0.750 0.521
```

Main lines, by angle (2θ = 5–70°):
12.50°, rel. 40; 24.88°, rel. 99; 25.14°, rel. 39; 25.59°, rel. 56; 27.01°, rel. 50; 27.20°, rel. 100; 28.70°, rel. 78; 30.70°, rel. 73

=====

(2)
CsSnO3: simulated powder diffraction line list (λ = 1.5418 Å (Cu Kα)), based on a crystal structure in Alexandria, relaxed with GGA-PBE.
Intensities are scaled so that the largest is 100.

Atomic structure:
```
CsSnO3
1.0
3.228 0.000 0.000
0.000 4.210 0.000
0.000 0.000 6.526
Cs Sn O
1 1 3
direct
0.000 0.000 0.000
0.000 0.500 0.500
0.000 0.000 0.500
0.500 0.500 0.289
0.500 0.500 0.711
```

Main lines, by angle (2θ = 5–70°):
25.17°, rel. 100; 27.33°, rel. 39; 27.64°, rel. 37; 37.73°, rel. 61; 39.26°, rel. 46; 42.97°, rel. 18; 55.41°, rel. 26; 59.60°, rel. 26

=====

(3)
CsSn2TeO8: simulated powder diffraction line list (λ = 1.5418 Å (Cu Kα)), based on a crystal structure in Alexandria, relaxed with GGA-PBE.
Intensities are scaled so that the largest is 100.

Atomic structure:
```
CsSn2TeO8
1.0
4.348 -3.047 0.000
4.348 3.047 0.000
-3.054 0.000 7.085
Cs Sn Te O
1 2 1 8
direct
0.000 0.000 0.000
0.448 0.448 0.750
0.552 0.552 0.250
0.000 0.000 0.500
0.173 0.714 0.303
0.229 0.229 0.522
0.286 0.827 0.697
0.361 0.361 0.964
0.639 0.639 0.036
0.714 0.173 0.303
0.771 0.771 0.478
0.827 0.286 0.697
```

Main lines, by angle (2θ = 5–70°):
22.26°, rel. 83; 27.39°, rel. 100; 29.31°, rel. 49; 34.78°, rel. 54; 36.36°, rel. 34; 37.12°, rel. 27; 50.82°, rel. 20; 55.58°, rel. 16

=====

(4)
Cs2TiSnO4: simulated powder diffraction line list (λ = 1.5418 Å (Cu Kα)), based on a crystal structure in Alexandria, relaxed with GGA-PBE.
Intensities are scaled so that the largest is 100.

Atomic structure:
```
Cs2TiSnO4
1.0
6.232 0.000 0.000
0.000 8.148 0.000
0.000 0.000 7.026
Cs Ti Sn O
4 2 2 8
direct
0.250 0.012 0.210
0.250 0.488 0.210
0.750 0.512 0.790
0.750 0.988 0.790
0.250 0.750 0.629
0.750 0.250 0.371
0.250 0.250 0.717
0.750 0.750 0.283
0.000 0.250 0.522
0.000 0.750 0.478
0.250 0.564 0.769
0.250 0.936 0.769
0.500 0.250 0.522
0.500 0.750 0.478
0.750 0.064 0.231
0.750 0.436 0.231
```

Main lines, by angle (2θ = 5–70°):
25.33°, rel. 36; 28.65°, rel. 29; 29.12°, rel. 100; 38.62°, rel. 25; 44.48°, rel. 9; 51.04°, rel. 21; 53.90°, rel. 11; 60.34°, rel. 10

=====

(5)
Cs3SrO8: simulated powder diffraction line list (λ = 1.5418 Å (Cu Kα)), based on a crystal structure in Alexandria, relaxed with GGA-PBE.
Intensities are scaled so that the largest is 100.

Atomic structure:
```
Cs3SrO8
1.0
-3.950 3.950 4.610
3.950 -3.950 4.610
3.950 3.950 -4.610
Cs Sr O
3 1 8
direct
0.000 0.000 0.000
0.250 0.750 0.500
0.750 0.250 0.500
0.500 0.500 0.000
0.150 0.150 0.684
0.214 0.214 0.554
0.340 0.786 0.000
0.466 0.466 0.316
0.534 0.850 0.000
0.660 0.660 0.446
0.786 0.340 0.000
0.850 0.534 0.000
```

Main lines, by angle (2θ = 5–70°):
22.51°, rel. 42; 25.05°, rel. 100; 32.05°, rel. 36; 41.10°, rel. 60; 45.57°, rel. 20; 51.40°, rel. 14; 63.33°, rel. 15; 66.71°, rel. 13

=====

(6)
Cs2Sr2TcO6: simulated powder diffraction line list (λ = 1.5418 Å (Cu Kα)), based on a crystal structure in Alexandria, relaxed with GGA-PBE.
Intensities are scaled so that the largest is 100.

Atomic structure:
```